Now repeat the listing further down word for word.
Entry 1:
Density functional theory data (PBE+U) for an optimized crystal structure of KFeF4.

The calculation puts the total energy at -5.030 eV/atom. The formation energy is -2.841 eV/atom. The symmetry is No. 62.

```
KFeF4
1.0
12.460 0.000 0.000
0.000 7.729 0.000
0.000 0.000 7.934
K Fe F
8 8 32
direct
0.017 0.250 0.124
0.025 0.250 0.624
0.475 0.750 0.124
0.483 0.750 0.624
0.517 0.250 0.376
0.525 0.250 0.876
0.975 0.750 0.376
0.983 0.750 0.876
0.249 0.501 0.374
0.249 0.999 0.374
0.251 0.001 0.874
0.251 0.499 0.874
0.749 0.501 0.126
0.749 0.999 0.126
0.751 0.001 0.626
0.751 0.499 0.626
0.099 0.048 0.369
0.099 0.452 0.369
0.101 0.049 0.881
0.101 0.451 0.881
0.211 0.750 0.402
0.214 0.750 0.844
0.248 0.035 0.624
0.248 0.465 0.624
0.252 0.535 0.124
0.252 0.965 0.124
0.286 0.250 0.344
0.289 0.250 0.902
0.399 0.549 0.381
0.399 0.951 0.381
0.401 0.548 0.869
0.401 0.952 0.869
0.599 0.048 0.131
0.599 0.452 0.131
0.601 0.049 0.619
0.601 0.451 0.619
0.711 0.750 0.098
0.714 0.750 0.656
0.748 0.035 0.876
0.748 0.465 0.876
0.752 0.535 0.376
0.752 0.965 0.376
0.786 0.250 0.156
0.789 0.250 0.598
0.899 0.549 0.119
0.899 0.951 0.119
0.901 0.548 0.631
0.901 0.952 0.631
```

***

Entry 2:
Density functional theory data (PBE+U) for an optimized crystal structure of Li2AlNiO4.

The size of the total moment is 12.0 Bohr magnetons per cell. The calculation puts the total energy at -5.687 eV/atom. The formation energy is -2.207 eV/atom. The symmetry is No. 33.

```
Li2AlNiO4
1.0
10.745 0.000 0.000
0.000 6.359 0.000
0.000 0.000 4.985
Li Al Ni O
8 4 4 16
direct
0.083 0.244 0.000
0.165 0.996 0.500
0.335 0.496 0.000
0.417 0.744 0.500
0.583 0.256 0.000
0.665 0.504 0.500
0.835 0.004 0.000
0.917 0.756 0.500
0.166 0.493 0.505
0.334 0.993 0.005
0.666 0.007 0.505
0.834 0.507 0.005
0.086 0.743 0.004
0.414 0.243 0.504
0.586 0.757 0.004
0.914 0.257 0.504
0.081 0.263 0.404
0.095 0.725 0.378
0.163 0.506 0.864
0.175 0.981 0.901
0.325 0.481 0.401
0.337 0.006 0.364
0.405 0.225 0.878
0.419 0.763 0.904
0.581 0.237 0.404
0.595 0.775 0.378
0.663 0.994 0.864
0.675 0.519 0.901
0.825 0.019 0.401
0.837 0.494 0.364
0.905 0.275 0.878
0.919 0.737 0.904
```

***

Entry 3:
Density functional theory data (PBE+U) for an optimized crystal structure of P3RuW2O15.

The size of the total moment is 8.0 Bohr magnetons per cell. The calculation puts the total energy at -7.369 eV/atom. The formation energy is -2.299 eV/atom. The symmetry is No. 15.

```
P3RuW2O15
1.0
18.830 -6.522 0.000
18.830 6.522 0.000
-2.034 0.000 9.412
P Ru W O
24 8 16 120
direct
0.067 0.933 0.750
0.072 0.437 0.736
0.077 0.657 0.585
0.081 0.147 0.589
0.135 0.591 0.063
0.147 0.081 0.089
0.343 0.923 0.915
0.359 0.411 0.951
0.409 0.865 0.437
0.411 0.359 0.451
0.430 0.570 0.250
0.437 0.072 0.236
0.563 0.928 0.764
0.570 0.430 0.750
0.589 0.641 0.549
0.591 0.135 0.563
0.641 0.589 0.049
0.657 0.077 0.085
0.853 0.919 0.911
0.865 0.409 0.937
0.919 0.853 0.411
0.923 0.343 0.415
0.928 0.563 0.264
0.933 0.067 0.250
0.242 0.270 0.997
0.243 0.746 0.497
0.254 0.757 0.003
0.270 0.242 0.497
0.730 0.758 0.503
0.746 0.243 0.997
0.757 0.254 0.503
0.758 0.730 0.003
0.063 0.814 0.182
0.078 0.303 0.202
0.178 0.452 0.307
0.186 0.937 0.318
0.303 0.078 0.702
0.312 0.564 0.715
0.436 0.688 0.785
0.452 0.178 0.807
0.548 0.822 0.193
0.564 0.312 0.215
0.688 0.436 0.285
0.697 0.922 0.298
0.814 0.063 0.682
0.822 0.548 0.693
0.922 0.697 0.798
0.937 0.186 0.818
0.010 0.295 0.327
0.025 0.545 0.717
0.028 0.533 0.267
0.028 0.750 0.498
0.029 0.036 0.736
0.036 0.029 0.236
0.043 0.162 0.728
0.047 0.130 0.996
0.047 0.637 0.945
0.113 0.858 0.614
0.120 0.564 0.480
0.124 0.569 0.194
0.129 0.309 0.075
0.130 0.047 0.496
0.132 0.401 0.883
0.137 0.354 0.612
0.137 0.802 0.078
0.142 0.664 0.103
0.142 0.887 0.886
0.154 0.154 0.118
0.154 0.154 0.618
0.154 0.758 0.339
0.162 0.043 0.228
0.168 0.626 0.683
0.182 0.251 0.341
0.198 0.863 0.422
0.221 0.360 0.423
0.227 0.362 0.150
0.242 0.846 0.161
0.245 0.476 0.996
0.250 0.972 0.002
0.251 0.182 0.841
0.266 0.668 0.847
Entry 1:
Density functional theory data (PBE+U) for an optimized crystal structure of KFeF4.

The calculation puts the total energy at -5.030 eV/atom. The formation energy is -2.841 eV/atom. The symmetry is No. 62.

```
KFeF4
1.0
12.460 0.000 0.000
0.000 7.729 0.000
0.000 0.000 7.934
K Fe F
8 8 32
direct
0.017 0.250 0.124
0.025 0.250 0.624
0.475 0.750 0.124
0.483 0.750 0.624
0.517 0.250 0.376
0.525 0.250 0.876
0.975 0.750 0.376
0.983 0.750 0.876
0.249 0.501 0.374
0.249 0.999 0.374
0.251 0.001 0.874
0.251 0.499 0.874
0.749 0.501 0.126
0.749 0.999 0.126
0.751 0.001 0.626
0.751 0.499 0.626
0.099 0.048 0.369
0.099 0.452 0.369
0.101 0.049 0.881
0.101 0.451 0.881
0.211 0.750 0.402
0.214 0.750 0.844
0.248 0.035 0.624
0.248 0.465 0.624
0.252 0.535 0.124
0.252 0.965 0.124
0.286 0.250 0.344
0.289 0.250 0.902
0.399 0.549 0.381
0.399 0.951 0.381
0.401 0.548 0.869
0.401 0.952 0.869
0.599 0.048 0.131
0.599 0.452 0.131
0.601 0.049 0.619
0.601 0.451 0.619
0.711 0.750 0.098
0.714 0.750 0.656
0.748 0.035 0.876
0.748 0.465 0.876
0.752 0.535 0.376
0.752 0.965 0.376
0.786 0.250 0.156
0.789 0.250 0.598
0.899 0.549 0.119
0.899 0.951 0.119
0.901 0.548 0.631
0.901 0.952 0.631
```

***

Entry 2:
Density functional theory data (PBE+U) for an optimized crystal structure of Li2AlNiO4.

The size of the total moment is 12.0 Bohr magnetons per cell. The calculation puts the total energy at -5.687 eV/atom. The formation energy is -2.207 eV/atom. The symmetry is No. 33.

```
Li2AlNiO4
1.0
10.745 0.000 0.000
0.000 6.359 0.000
0.000 0.000 4.985
Li Al Ni O
8 4 4 16
direct
0.083 0.244 0.000
0.165 0.996 0.500
0.335 0.496 0.000
0.417 0.744 0.500
0.583 0.256 0.000
0.665 0.504 0.500
0.835 0.004 0.000
0.917 0.756 0.500
0.166 0.493 0.505
0.334 0.993 0.005
0.666 0.007 0.505
0.834 0.507 0.005
0.086 0.743 0.004
0.414 0.243 0.504
0.586 0.757 0.004
0.914 0.257 0.504
0.081 0.263 0.404
0.095 0.725 0.378
0.163 0.506 0.864
0.175 0.981 0.901
0.325 0.481 0.401
0.337 0.006 0.364
0.405 0.225 0.878
0.419 0.763 0.904
0.581 0.237 0.404
0.595 0.775 0.378
0.663 0.994 0.864
0.675 0.519 0.901
0.825 0.019 0.401
0.837 0.494 0.364
0.905 0.275 0.878
0.919 0.737 0.904
```

***

Entry 3:
Density functional theory data (PBE+U) for an optimized crystal structure of P3RuW2O15.

The size of the total moment is 8.0 Bohr magnetons per cell. The calculation puts the total energy at -7.369 eV/atom. The formation energy is -2.299 eV/atom. The symmetry is No. 15.

```
P3RuW2O15
1.0
18.830 -6.522 0.000
18.830 6.522 0.000
-2.034 0.000 9.412
P Ru W O
24 8 16 120
direct
0.067 0.933 0.750
0.072 0.437 0.736
0.077 0.657 0.585
0.081 0.147 0.589
0.135 0.591 0.063
0.147 0.081 0.089
0.343 0.923 0.915
0.359 0.411 0.951
0.409 0.865 0.437
0.411 0.359 0.451
0.430 0.570 0.250
0.437 0.072 0.236
0.563 0.928 0.764
0.570 0.430 0.750
0.589 0.641 0.549
0.591 0.135 0.563
0.641 0.589 0.049
0.657 0.077 0.085
0.853 0.919 0.911
0.865 0.409 0.937
0.919 0.853 0.411
0.923 0.343 0.415
0.928 0.563 0.264
0.933 0.067 0.250
0.242 0.270 0.997
0.243 0.746 0.497
0.254 0.757 0.003
0.270 0.242 0.497
0.730 0.758 0.503
0.746 0.243 0.997
0.757 0.254 0.503
0.758 0.730 0.003
0.063 0.814 0.182
0.078 0.303 0.202
0.178 0.452 0.307
0.186 0.937 0.318
0.303 0.078 0.702
0.312 0.564 0.715
0.436 0.688 0.785
0.452 0.178 0.807
0.548 0.822 0.193
0.564 0.312 0.215
0.688 0.436 0.285
0.697 0.922 0.298
0.814 0.063 0.682
0.822 0.548 0.693
0.922 0.697 0.798
0.937 0.186 0.818
0.010 0.295 0.327
0.025 0.545 0.717
0.028 0.533 0.267
0.028 0.750 0.498
0.029 0.036 0.736
0.036 0.029 0.236
0.043 0.162 0.728
0.047 0.130 0.996
0.047 0.637 0.945
0.113 0.858 0.614
0.120 0.564 0.480
0.124 0.569 0.194
0.129 0.309 0.075
0.130 0.047 0.496
0.132 0.401 0.883
0.137 0.354 0.612
0.137 0.802 0.078
0.142 0.664 0.103
0.142 0.887 0.886
0.154 0.154 0.118
0.154 0.154 0.618
0.154 0.758 0.339
0.162 0.043 0.228
0.168 0.626 0.683
0.182 0.251 0.341
0.198 0.863 0.422
0.221 0.360 0.423
0.227 0.362 0.150
0.242 0.846 0.161
0.245 0.476 0.996
0.250 0.972 0.002
0.251 0.182 0.841
0.266 0.668 0.847